Tuesday, September 9, 2008

Thinking back...

Sharing a surreal moment


Every morning, I walk my youngest to his kindergarten class, at the same elementary school that I attended years ago.  My two other children attended kindergarten at different schools closer to my home, but this one is going to the school within my mother’s district.  For the first time, in many, many years, I am walking on the asphalt, and walking up and down the stairs of my old elementary school.  It’s kind of surreal, especially when I realize how very small the once HUGE playground I used to play in really is.  The stairs are not nearly as many as I remember.  It’s surreal to walk down to my car and notice an old classmate that I knew from my own kindergarten class who just dropped off her kids.  We share some small talk, we had spoken last at the high school reunion we went to.  It gets even weirder when I am crossing the street with this classmate, when our former 2nd grade teacher pulls up to the crosswalk.  “Hello, Mrs. Crews!”  It was an Alice and Wonderland moment-all that was missing was the White Rabbit creeping out of the old turtle bar structure that is still sitting in the kindergarten playground.  Oh, and I did mention that my old kindergarten teacher of 37 years ago is STILL there?

## Inserted here: materials data
........
Below is a relaxed Na2Ge2O5 crystal, with properties calculated at the r2SCAN level.

## Properties
total magnetic moment	0.0	μB per cell
energy above the lowest structure with this stoichiometry	0.0036	eV/atom
ΔE_f	-1.912	eV per atom

Cell: 8.438 12.104 4.883 Å, 90.00 90.00 90.00°
Space group Pna2_1 (No. 33)
One atom of each set of equivalent atoms:
Na 0.073 0.233 0.000
Na 0.186 0.695 0.964
Ge 0.049 0.927 0.053
Ge 0.111 0.525 0.418
O 0.028 0.949 0.413
O 0.041 0.195 0.478
O 0.074 0.516 0.058
O 0.167 0.658 0.488
O 0.245 0.416 0.487

----------

Material: Mg14MnB
Method: DFT, PBE-GGA
State: relaxed Values from VASP.

Structure (Quantum ESPRESSO input):
```
&SYSTEM
  ibrav = 0, nat = 16, ntyp = 3
/
ATOMIC_SPECIES
Mg 24.30 Mg.upf
Mn 54.94 Mn.upf
B 10.81 B.upf
ATOMIC_POSITIONS crystal
Mg 0.169 0.834 0.125
Mg 0.165 0.832 0.625
Mg 0.666 0.331 0.125
Mg 0.668 0.335 0.625
Mg 0.666 0.834 0.125
Mg 0.668 0.832 0.625
Mg 0.327 0.173 0.378
Mg 0.327 0.173 0.872
Mg 0.327 0.654 0.378
Mg 0.327 0.654 0.872
Mg 0.846 0.173 0.378
Mg 0.846 0.173 0.872
Mg 0.833 0.667 0.373
Mg 0.833 0.667 0.877
Mn 0.167 0.333 0.125
B 0.167 0.333 0.625
CELL_PARAMETERS angstrom
6.192 0.000 0.000
-3.096 5.362 0.000
0.000 0.000 10.068
```

Total DFT energy (no corrections) in eV for the cell shown: -34.629
Formation enthalpy at 0 K in eV per atom: 0.226
Symmetry: P-6m2

=====

Material: Mg6BMo
Method: DFT, PBE-GGA
State: relaxed Values from VASP.

Structure (Quantum ESPRESSO input):
```
&SYSTEM
  ibrav = 0, nat = 16, ntyp = 3
/
ATOMIC_SPECIES
Mg 24.30 Mg.upf
B 10.81 B.upf
Mo 95.94 Mo.upf
ATOMIC_POSITIONS crystal
Mg 0.500 0.249 0.428
Mg 0.500 0.751 0.428
Mg 0.000 0.755 0.082
Mg 0.000 0.245 0.082
Mg 0.000 0.000 0.324
Mg 0.000 0.500 0.311
Mg 0.500 0.749 0.928
Mg 0.500 0.251 0.928
Mg 0.000 0.255 0.582
Mg 0.000 0.745 0.582
Mg 0.000 0.500 0.824
Mg 0.000 0.000 0.811
B 0.500 0.500 0.166
B 0.500 0.000 0.666
Mo 0.500 0.000 0.179
Mo 0.500 0.500 0.679
CELL_PARAMETERS angstrom
-2.996 3.545 -1.033
-4.097 -2.667 2.731
2.805 5.026 9.114
```

Total DFT energy (no corrections) in eV for the cell shown: -46.189
Formation enthalpy at 0 K in eV per atom: 0.504

=====

Material: Mg14BMo
Method: DFT, PBE-GGA
State: relaxed Values from VASP.

Structure (Quantum ESPRESSO input):
```
&SYSTEM
  ibrav = 0, nat = 16, ntyp = 3
/
ATOMIC_SPECIES
Mg 24.30 Mg.upf
B 10.81 B.upf
Mo 95.94 Mo.upf
ATOMIC_POSITIONS crystal
Mg 0.170 0.335 0.625
Mg 0.168 0.834 0.625
Mg 0.672 0.333 0.125
Mg 0.663 0.332 0.625
Mg 0.672 0.839 0.125
Mg 0.663 0.831 0.625
Mg 0.324 0.160 0.353
Mg 0.324 0.160 0.897
Mg 0.324 0.665 0.353
Mg 0.324 0.665 0.897
Mg 0.843 0.171 0.370
Mg 0.843 0.171 0.880
Mg 0.844 0.672 0.365
Mg 0.844 0.672 0.885
B 0.164 0.832 0.125
Mo 0.158 0.329 0.125
CELL_PARAMETERS angstrom
6.178 0.045 0.000
-3.050 5.283 0.000
0.000 0.000 9.979
```

Total DFT energy (no corrections) in eV for the cell shown: -35.517
Formation enthalpy at 0 K in eV per atom: 0.276
Symmetry: Amm2

=====

Material: Mg14BMo
Method: DFT, PBE-GGA
........


Suddenly I’m taken back in time, and I’m wearing my red corduroy jumper, and white tights that cling to my very chubby legs.  I’m sitting on the bench watching the other girls play hopscotch, staring at my shoelaces that are left untied.  Should I attempt to tie them again, or should I hide my feet so no one will notice?  Too bad they didn’t invent Velcro yet.  Not to worry, here comes my old friend, Linda Van Loon to the rescue!  Shell tie my shoes and ask me to play jump rope.  I used to hate that skinny, blonde girl so much.  She would stick her tongue at me on the school bus, until one day her mom called my mom to arrange a play date together.  Who would have known we would be best friends? I was amazed by her huge sand box full of her mom’s old pots and pans in her backyard, andhow her mom let her draw and write all over her bedroom walls-something my mom would NEVER let me do in a million years.  I used to share my Ding Dongs and Hostess Cup Cakes with her at lunch.  Yes, my mom liked me fat and happy for some reason, and Linda was as skinny as a stick.  She was like a bone with some short blonde hair sticking out of the top, so naturally, I would give her my Ding Dongs out of pity.  My mom would have Moon Pies and milk waiting for me when I got home, so I wasn’t worried. 




To this day, I refuse to buy Ding Dongs and Hostess Cupcakes and put them in my kid’s lunch.   It’s NEVER going to happen, although I did catch a glimpse of those Moon Pies at the market the other day, and I won’t lie to you when I say I was very tempted to buy a box. 

_Crystal structures, kept here for reference_
+++
An optimized crystal structure of Zn2GaP3H8N2O12. Source: the Materials Project, functional GGA-PBE.

Geometry as POSCAR:
```
Zn2GaP3H8N2O12
1.0
11.757 0.000 0.000
-3.903 11.128 0.000
-3.954 -5.543 9.653
O H N P Zn Ga
48 32 8 12 8 4
Cartesian
5.705 1.868 7.082
0.817 5.820 1.467
1.645 -1.057 9.518
4.730 1.406 4.323
-0.200 -2.217 7.487
6.174 -0.625 6.570
-0.402 2.273 2.662
3.781 -2.888 6.851
-3.905 1.218 5.971
-2.687 -2.702 8.021
3.648 2.163 0.549
-0.102 6.686 3.688
-1.619 -0.462 8.565
4.253 -0.239 0.950
-2.153 2.445 9.323
2.240 5.789 5.836
-0.823 1.587 5.117
2.181 -3.857 8.641
-4.164 5.876 3.991
-0.748 5.814 6.848
1.752 0.498 0.896
3.188 0.272 6.034
0.308 3.736 4.585
-1.985 -1.206 6.099
-0.696 7.889 1.575
5.753 6.506 5.551
7.430 3.940 1.543
-2.220 3.375 4.069
-4.414 0.606 8.433
2.272 8.780 2.087
6.234 4.013 4.984
5.760 8.648 2.846
3.447 9.778 0.089
1.766 4.101 7.725
-0.236 -0.830 3.076
3.428 3.559 5.967
3.936 7.330 0.775
6.252 10.402 0.984
2.280 1.150 3.861
3.819 -0.953 3.946
9.049 -0.066 3.180
6.921 6.374 0.824
-4.737 5.938 8.450
4.159 -0.717 8.939
-1.647 5.581 1.900
5.124 5.556 3.301
3.909 5.373 7.746
4.623 -4.404 8.744
3.139 3.353 1.915
5.989 -3.159 9.353
-2.047 8.205 0.594
-3.669 4.879 7.627
1.840 0.969 6.825
4.213 8.349 4.820
2.095 4.661 2.227
-4.187 -2.597 9.035
6.409 0.790 1.396
-2.738 3.523 8.011
7.058 2.259 1.948
2.474 3.569 3.447
2.850 8.539 3.850
-3.273 3.721 6.406
6.753 -2.019 5.467
-0.780 2.758 1.011
-3.370 7.449 4.427
-3.256 9.277 0.015
1.182 2.411 7.411
-2.077 4.749 7.056
10.339 3.978 0.025
8.110 7.649 0.402
0.245 1.413 6.415
6.024 1.323 2.936
0.628 0.941 8.037
2.845 7.423 5.152
7.608 0.757 2.597
0.553 -2.665 5.778
-1.966 8.356 4.804
0.530 -1.986 4.224
5.096 2.454 8.701
3.678 4.650 2.898
0.963 1.420 7.191
-2.996 8.353 4.808
-2.951 4.206 7.256
-1.056 3.013 0.025
6.778 1.283 2.221
8.833 8.302 0.017
2.849 4.061 2.622
3.182 8.356 4.823
6.807 0.728 6.970
3.432 -4.079 7.740
3.165 0.643 0.329
7.043 4.892 0.376
-0.795 2.777 4.095
10.079 -1.040 2.536
2.876 4.760 6.794
-1.678 -1.638 7.525
-0.451 6.481 2.206
6.162 5.505 4.464
2.905 8.455 0.718
3.462 0.434 4.507
0.844 0.751 2.614
-6.313 6.537 7.454
-2.366 0.413 5.069
0.369 9.418 2.214
4.275 -1.006 7.040
-3.054 4.665 2.897
5.454 6.966 1.959
0.338 5.546 5.204
5.038 2.748 5.576
-2.821 0.710 9.342
1.108 4.955 9.243
0.853 -2.619 8.968
```

- Crystal system: triclinic
- Total energy: -669.15 eV per cell
- Energy of formation from the pure elements: -1806 meV/atom
- Polymorph energy (0 for the lowest one): 0.0 meV/atom
- Mass density: 2.74 g/cm³
- Size of the total moment: 0.000 μB per atom
- SG: P1 (1)

----------

1.
CaY2O4 | PBE | relaxed

Output
The value obtained for the MP2020-corrected energy is -8.67 eV per atom. As for the crystal system: orthorhombic. For the spin magnetization, the calculation gives 0.00 Bohr magnetons per cell. For the energy above the most stable polymorph in this dataset, the calculation gives 32.4 meV/atom.
+++



Anonymous said...

Great entry. Loved reading about your memories.....i bet it WAS quite a moment! HUGS

Anonymous said...

With Nicci, she went to all the same schools I did and even had some of the same teachers.  Brandon also but only until he was 12 and then he was homeschooled.  

Anonymous said...

 I really liked this entry.   Memories.....


Anonymous said...

Great entry!

Anonymous said...

What great memories.... funny that I'm reading this now... I had a dream last night of my old elementary school (which I haven't been to SINCE THEN... LOL!!).  Don't be too upset with your mom, I think back then, they fed us out of love... they weren't as health conscious as we are today.
